Data >
Molecular formula: C16H23B2N3O10Si
Method: DFT, ωB97M-V/def2-TZVPD

```
55
Properties=species:S:1:pos:R:3:forces:R:3
N 2.963 2.159 1.258 -0.21 -0.80 -0.06
Si 1.967 0.704 1.066 0.53 0.58 0.01
C 2.939 -0.856 1.540 -0.66 0.16 0.28
C 2.050 -2.105 1.351 0.43 -0.15 0.16
C 2.703 -3.282 0.630 -0.35 0.01 -0.23
C 3.432 -2.904 -0.626 -0.12 0.63 -0.81
O 3.308 -1.862 -1.231 0.30 -0.84 0.64
O 4.245 -3.914 -1.074 -0.06 0.11 0.79
B 1.335 0.616 -0.861 0.10 -0.23 -0.28
O 0.204 -0.051 -1.249 0.20 -0.21 -0.11
O 2.050 1.221 -1.879 -0.48 0.01 -0.11
B 0.313 0.890 2.191 0.07 -0.26 0.73
O -0.735 -0.036 2.144 -0.01 0.29 -0.24
O 0.138 1.985 3.001 -0.01 0.23 -0.97
H 3.144 2.583 0.360 0.16 0.22 -0.02
H 3.846 1.925 1.690 0.17 0.25 0.04
H 3.162 -0.758 2.602 0.26 -0.01 0.10
H 3.879 -0.905 1.004 0.11 -0.01 -0.19
H 1.776 -2.464 2.340 -0.24 -0.11 0.05
H 1.112 -1.888 0.843 -0.07 0.19 -0.13
H 1.916 -3.969 0.310 -0.03 -0.20 0.01
H 3.355 -3.871 1.267 0.22 0.07 0.09
H 5.041 -3.516 -1.437 -0.02 0.14 -0.60
H -0.163 -0.562 -0.527 -0.30 0.02 0.22
H 1.991 2.178 -1.824 0.59 0.13 0.07
H -0.534 -0.844 2.629 -0.16 -0.15 -0.06
H -0.802 2.197 2.997 -0.24 -0.07 0.62
O -0.544 -3.899 2.637 0.16 -0.07 -0.03
N -1.597 -3.299 2.641 -0.09 -0.03 -0.04
O -1.818 -2.301 3.300 0.02 -0.02 0.11
C -2.680 -3.801 1.787 -0.14 -0.08 -0.06
C -2.472 -4.952 1.050 0.09 -0.15 -0.07
C -3.502 -5.428 0.256 -0.09 0.05 0.00
C -4.713 -4.750 0.208 0.01 0.01 0.01
C -4.898 -3.591 0.951 0.03 -0.09 -0.05
C -3.875 -3.108 1.749 -0.14 0.15 0.04
H -1.527 -5.472 1.093 0.04 0.06 0.07
H -3.360 -6.328 -0.324 0.02 -0.01 -0.01
H -5.517 -5.127 -0.411 -0.01 0.00 -0.01
H -5.840 -3.063 0.909 -0.01 0.02 0.01
H -4.007 -2.208 2.330 0.10 0.00 0.04
O 1.813 4.032 -1.200 -0.08 0.02 -0.12
N 0.593 3.957 -1.184 -0.01 0.09 0.07
O -0.031 3.188 -0.488 -0.04 -0.04 0.08
C -0.157 4.835 -2.086 -0.07 0.15 -0.07
C 0.539 5.690 -2.919 0.15 0.09 -0.08
C -0.175 6.504 -3.782 -0.11 -0.01 0.00
C -1.562 6.453 -3.799 0.01 -0.01 0.01
C -2.242 5.591 -2.948 0.06 0.06 -0.07
C -1.538 4.772 -2.083 -0.18 -0.06 0.05
H 1.618 5.722 -2.899 0.01 -0.08 0.07
H 0.352 7.176 -4.445 0.02 0.01 -0.01
H -2.116 7.087 -4.478 -0.01 0.01 0.00
H -3.322 5.554 -2.962 -0.02 -0.01 0.01
H -2.057 4.095 -1.421 0.09 -0.05 0.04
```
Forces are in eV/Å.

Results
E = -1879.3980 hartree
SMILES string = N[Si](CCCC(=O)O)(B(O)O)B(O)O.O=[N+]([O-])c1ccccc1.O=[N+]([O-])c1ccccc1
frontier orbital gap = 0.26622 Ha
net charge = 0
HOMO level = -8.005 eV

***

Molecular formula: C16H23BCrN6
Method: DFT, ωB97M-V/def2-TZVPD

```
47
Properties=species:S:1:pos:R:3:forces:R:3
H -0.195 2.610 0.767 0.17 0.00 -0.61
N 0.072 1.456 -0.977 0.85 1.42 -0.58
B 0.613 0.587 -3.270 -0.21 -0.19 1.42
N 0.586 1.750 -2.234 -1.06 -0.29 1.07
C 0.880 3.054 -2.302 0.21 -0.07 -0.27
Cr -0.770 -0.481 -0.483 4.11 -0.59 -0.36
H 1.264 3.470 -3.233 -0.09 -0.09 0.38
C 0.621 3.639 -1.076 0.00 -0.28 -0.01
H 0.765 4.655 -0.788 0.08 0.37 0.03
C 0.133 2.603 -0.279 -0.31 -0.66 -0.10
H 1.049 0.928 -4.314 0.10 0.00 -0.33
C -0.876 -2.497 -0.352 -0.84 -1.21 1.51
H -1.169 -2.467 0.729 0.26 -0.68 -0.56
H -0.051 -3.274 -0.514 -1.28 1.37 0.08
H -1.799 -2.753 -0.889 0.28 -0.45 -0.08
N -0.833 0.043 -3.359 -1.47 -0.47 2.00
N 1.444 -0.524 -2.574 0.17 -0.21 0.87
N -1.503 -0.387 -2.180 -1.01 -0.01 -5.00
N 1.056 -1.027 -1.341 1.76 -0.57 -1.21
C -1.682 -0.053 -4.380 0.41 -0.04 0.19
C 2.660 -0.994 -2.911 -0.36 0.06 0.17
H -1.306 0.261 -5.344 -0.42 -0.14 -0.05
H 3.125 -0.635 -3.831 -0.13 -0.33 0.40
C -2.879 -0.574 -3.928 -1.26 -0.44 -0.07
C 3.080 -1.865 -1.917 -0.10 0.18 -0.02
C -2.738 -0.788 -2.550 1.79 0.96 -0.75
C 2.041 -1.868 -0.966 0.10 0.82 -0.75
H -3.779 -0.797 -4.496 0.40 0.15 0.03
H 4.024 -2.393 -1.879 -0.24 0.02 0.04
H -3.377 -1.181 -1.777 -0.26 -0.04 -0.23
H 2.019 -2.434 -0.044 -0.29 0.24 -0.10
H -1.795 0.615 0.024 -1.10 0.65 1.80
C -1.239 0.835 4.547 -0.20 0.12 0.16
C -0.032 0.092 3.988 0.10 -0.34 -0.91
C 1.255 0.817 4.319 0.20 0.12 0.39
C 0.007 -1.332 4.519 0.01 -0.24 0.38
C -0.208 -0.015 2.549 -1.00 0.75 -0.27

Request >
Restate all of the entries above unchanged.

Result >
Molecular formula: C16H23B2N3O10Si
Method: DFT, ωB97M-V/def2-TZVPD

```
55
Properties=species:S:1:pos:R:3:forces:R:3
N 2.963 2.159 1.258 -0.21 -0.80 -0.06
Si 1.967 0.704 1.066 0.53 0.58 0.01
C 2.939 -0.856 1.540 -0.66 0.16 0.28
C 2.050 -2.105 1.351 0.43 -0.15 0.16
C 2.703 -3.282 0.630 -0.35 0.01 -0.23
C 3.432 -2.904 -0.626 -0.12 0.63 -0.81
O 3.308 -1.862 -1.231 0.30 -0.84 0.64
O 4.245 -3.914 -1.074 -0.06 0.11 0.79
B 1.335 0.616 -0.861 0.10 -0.23 -0.28
O 0.204 -0.051 -1.249 0.20 -0.21 -0.11
O 2.050 1.221 -1.879 -0.48 0.01 -0.11
B 0.313 0.890 2.191 0.07 -0.26 0.73
O -0.735 -0.036 2.144 -0.01 0.29 -0.24
O 0.138 1.985 3.001 -0.01 0.23 -0.97
H 3.144 2.583 0.360 0.16 0.22 -0.02
H 3.846 1.925 1.690 0.17 0.25 0.04
H 3.162 -0.758 2.602 0.26 -0.01 0.10
H 3.879 -0.905 1.004 0.11 -0.01 -0.19
H 1.776 -2.464 2.340 -0.24 -0.11 0.05
H 1.112 -1.888 0.843 -0.07 0.19 -0.13
H 1.916 -3.969 0.310 -0.03 -0.20 0.01
H 3.355 -3.871 1.267 0.22 0.07 0.09
H 5.041 -3.516 -1.437 -0.02 0.14 -0.60
H -0.163 -0.562 -0.527 -0.30 0.02 0.22
H 1.991 2.178 -1.824 0.59 0.13 0.07
H -0.534 -0.844 2.629 -0.16 -0.15 -0.06
H -0.802 2.197 2.997 -0.24 -0.07 0.62
O -0.544 -3.899 2.637 0.16 -0.07 -0.03
N -1.597 -3.299 2.641 -0.09 -0.03 -0.04
O -1.818 -2.301 3.300 0.02 -0.02 0.11
C -2.680 -3.801 1.787 -0.14 -0.08 -0.06
C -2.472 -4.952 1.050 0.09 -0.15 -0.07
C -3.502 -5.428 0.256 -0.09 0.05 0.00
C -4.713 -4.750 0.208 0.01 0.01 0.01
C -4.898 -3.591 0.951 0.03 -0.09 -0.05
C -3.875 -3.108 1.749 -0.14 0.15 0.04
H -1.527 -5.472 1.093 0.04 0.06 0.07
H -3.360 -6.328 -0.324 0.02 -0.01 -0.01
H -5.517 -5.127 -0.411 -0.01 0.00 -0.01
H -5.840 -3.063 0.909 -0.01 0.02 0.01
H -4.007 -2.208 2.330 0.10 0.00 0.04
O 1.813 4.032 -1.200 -0.08 0.02 -0.12
N 0.593 3.957 -1.184 -0.01 0.09 0.07
O -0.031 3.188 -0.488 -0.04 -0.04 0.08
C -0.157 4.835 -2.086 -0.07 0.15 -0.07
C 0.539 5.690 -2.919 0.15 0.09 -0.08
C -0.175 6.504 -3.782 -0.11 -0.01 0.00
C -1.562 6.453 -3.799 0.01 -0.01 0.01
C -2.242 5.591 -2.948 0.06 0.06 -0.07
C -1.538 4.772 -2.083 -0.18 -0.06 0.05
H 1.618 5.722 -2.899 0.01 -0.08 0.07
H 0.352 7.176 -4.445 0.02 0.01 -0.01
H -2.116 7.087 -4.478 -0.01 0.01 0.00
H -3.322 5.554 -2.962 -0.02 -0.01 0.01
H -2.057 4.095 -1.421 0.09 -0.05 0.04
```
Forces are in eV/Å.

Results
E = -1879.3980 hartree
SMILES string = N[Si](CCCC(=O)O)(B(O)O)B(O)O.O=[N+]([O-])c1ccccc1.O=[N+]([O-])c1ccccc1
frontier orbital gap = 0.26622 Ha
net charge = 0
HOMO level = -8.005 eV

***

Molecular formula: C16H23BCrN6
Method: DFT, ωB97M-V/def2-TZVPD

```
47
Properties=species:S:1:pos:R:3:forces:R:3
H -0.195 2.610 0.767 0.17 0.00 -0.61
N 0.072 1.456 -0.977 0.85 1.42 -0.58
B 0.613 0.587 -3.270 -0.21 -0.19 1.42
N 0.586 1.750 -2.234 -1.06 -0.29 1.07
C 0.880 3.054 -2.302 0.21 -0.07 -0.27
Cr -0.770 -0.481 -0.483 4.11 -0.59 -0.36
H 1.264 3.470 -3.233 -0.09 -0.09 0.38
C 0.621 3.639 -1.076 0.00 -0.28 -0.01
H 0.765 4.655 -0.788 0.08 0.37 0.03
C 0.133 2.603 -0.279 -0.31 -0.66 -0.10
H 1.049 0.928 -4.314 0.10 0.00 -0.33
C -0.876 -2.497 -0.352 -0.84 -1.21 1.51
H -1.169 -2.467 0.729 0.26 -0.68 -0.56
H -0.051 -3.274 -0.514 -1.28 1.37 0.08
H -1.799 -2.753 -0.889 0.28 -0.45 -0.08
N -0.833 0.043 -3.359 -1.47 -0.47 2.00
N 1.444 -0.524 -2.574 0.17 -0.21 0.87
N -1.503 -0.387 -2.180 -1.01 -0.01 -5.00
N 1.056 -1.027 -1.341 1.76 -0.57 -1.21
C -1.682 -0.053 -4.380 0.41 -0.04 0.19
C 2.660 -0.994 -2.911 -0.36 0.06 0.17
H -1.306 0.261 -5.344 -0.42 -0.14 -0.05
H 3.125 -0.635 -3.831 -0.13 -0.33 0.40
C -2.879 -0.574 -3.928 -1.26 -0.44 -0.07
C 3.080 -1.865 -1.917 -0.10 0.18 -0.02
C -2.738 -0.788 -2.550 1.79 0.96 -0.75
C 2.041 -1.868 -0.966 0.10 0.82 -0.75
H -3.779 -0.797 -4.496 0.40 0.15 0.03
H 4.024 -2.393 -1.879 -0.24 0.02 0.04
H -3.377 -1.181 -1.777 -0.26 -0.04 -0.23
H 2.019 -2.434 -0.044 -0.29 0.24 -0.10
H -1.795 0.615 0.024 -1.10 0.65 1.80
C -1.239 0.835 4.547 -0.20 0.12 0.16
C -0.032 0.092 3.988 0.10 -0.34 -0.91
C 1.255 0.817 4.319 0.20 0.12 0.39
C 0.007 -1.332 4.519 0.01 -0.24 0.38
C -0.208 -0.015 2.549 -1.00 0.75 -0.27